The development activity in each of the DMC District continues to show progress with investment and projects underway at various phases. The Destination Medical Center development plan identifies six sub-districts: Heart of the City, Discovery Square, St. Marys Place, Waterfront, Central Station, and the UMR/Recreation area. Each sub-district is organized around a signature public space and public realm experience.
The Peace Plaza, for example, serves as the signature public space in Heart of the City. Recently, a Request for Qualifications/Proposals process was launched to identify a team to design enhancements to the Heart of the City sub-district. In the next few weeks, a Community Advisory Committee will be established to help steer that design process.
The sub-district Discovery Square, centered on research and innovation, has also begun to unfold. DMC hosted a public event in February to celebrate the early stages of the renovation of the Conley-Maass building on 4th Street SW. Upon completion, the building will be home to Area 10 Labs, BrandHoot, a new, yet-to-be-determined restaurant, and an incubator space to support start-ups and entrepreneurs. At the same time, Mayo Clinic has been conducting a feasibility study about potential redevelopment of some of its properties in Discovery Square.
Most recently, the St. Marys Place sub-district has received a great deal of public attention, largely due to private market interest in redeveloping several key sites in the sub-district.
On Wednesday, March 16, a group of city staff and council members, property owners and developers (including Mayo Clinic), neighborhood groups and DMC EDA staff met to develop a process for implementation of the public infrastructure of the 2nd street corridor from 11th to 16th Avenue West. Examples of public infrastructure include entrances and exits to and from the street level, pedestrian crosswalks, and bike lanes.
Following the group meeting, others were invited to attend a presentation summarizing the meeting results.
City council president Randy Staver noted the energy of the group. “There is clearly a lot of passion in the room and a genuine desire for engagement,” he told the presentation attendees. “We want to be thorough but recognize that there also exists a sense of urgency in our community. We need to make sure we have a process in place that is understandable, then we need to abide by that process.”
### Data records, as found in the file
Entry 1:
191
Properties=species:S:1:pos:R:3 method="wB97M-V/def2-TZVPD" gap_ha="0.091 / 0.316" lumo_energy_ev="-3.218 / -3.340" e_homo_ev="-5.68 / -11.94" total_charge=+2 spin_multiplicity=2 energy_ev=-102493.74569
C -6.89 -1.29 0.66
C -6.31 -2.17 1.78
C -5.64 -3.46 1.28
N -5.19 -4.51 2.34
C -4.51 -5.75 1.63
C -3.06 -5.43 1.16
C -2.22 -4.73 2.26
C -2.85 -3.49 2.85
C -4.23 -3.93 3.43
C -6.41 -5.07 3.22
H -6.31 -1.32 -0.26
H -6.82 -0.27 1.03
H -7.87 -1.73 0.45
H -7.03 -2.34 2.59
H -5.50 -1.53 2.11
H -4.81 -3.29 0.59
H -6.29 -4.05 0.64
H -5.05 -6.05 0.73
H -4.52 -6.56 2.36
H -3.03 -4.82 0.25
H -2.55 -6.31 0.76
H -1.18 -4.61 1.96
H -2.11 -5.42 3.09
H -3.15 -2.72 2.14
H -2.11 -3.15 3.58
H -4.73 -3.06 3.86
H -4.07 -4.61 4.27
H -6.93 -4.21 3.63
H -6.10 -5.83 3.93
H -7.04 -5.52 2.45
C 6.07 -1.72 4.28
C 5.66 -0.21 4.07
C 4.31 0.22 4.80
N 3.70 1.58 4.24
C 4.81 2.64 4.24
C 4.35 3.98 3.56
C 3.71 3.71 2.15
C 2.73 2.57 2.16
C 3.22 1.32 2.78
C 2.52 1.98 5.13
H 5.97 -1.93 5.35
H 7.03 -2.01 3.85
H 5.25 -2.28 3.84
H 5.64 -0.05 3.00
H 6.49 0.39 4.46
H 4.47 0.29 5.88
H 3.51 -0.49 4.61
H 5.62 2.20 3.67
H 5.23 2.90 5.22
H 5.22 4.61 3.41
H 3.59 4.50 4.15
H 4.50 3.44 1.44
H 3.33 4.69 1.86
H 2.43 2.29 1.16
H 1.83 3.03 2.57
H 4.03 0.83 2.23
H 2.45 0.56 2.92
H 2.74 2.06 6.19
H 1.83 1.19 4.85
H 2.20 2.94 4.72
C -0.86 -1.80 -7.51
C -2.04 -0.82 -7.17
C -1.95 -0.46 -5.62
N -3.03 0.45 -5.00
C -2.69 0.89 -3.55
C -1.45 1.81 -3.57
C -1.57 3.14 -4.40
C -2.00 2.70 -5.84
C -3.21 1.75 -5.87
C -4.41 -0.24 -5.01
H -1.07 -2.80 -7.16
H 0.10 -1.50 -7.10
H -0.81 -1.86 -8.60
H -2.95 -1.39 -7.36
H -1.96 0.12 -7.72
H -1.01 0.09 -5.49
H -1.88 -1.32 -4.97
H -2.30 -0.05 -3.15
H -3.52 1.35 -3.03
H -0.47 1.42 -3.87
H -1.32 2.12 -2.54
H -0.70 3.76 -4.21
H -2.34 3.68 -3.85
H -1.11 2.35 -6.36
H -2.07 3.67 -6.34
H -3.50 1.45 -6.88
H -4.01 2.23 -5.32
H -5.20 0.39 -4.60
H -4.27 -1.18 -4.48
H -4.70 -0.33 -6.06
C 3.67 -2.91 1.96
C 2.19 -2.91 1.66
C 1.77 -1.88 0.57
N 0.46 -2.14 -0.16
C 0.48 -1.15 -1.36
C 1.10 -1.64 -2.66
C 0.70 -3.05 -3.10
C 0.88 -4.06 -1.99
C 0.20 -3.64 -0.62
C -0.58 -1.76 0.88
H 3.95 -3.53 2.80
H 4.10 -1.93 2.15
H 4.25 -3.27 1.11
H 1.54 -2.82 2.53
H 2.02 -3.93 1.34
H 2.42 -2.03 -0.29
H 1.75 -0.81 0.81
H 0.82 -0.15 -1.08
H -0.59 -0.98 -1.45
H 2.19 -1.64 -2.64
H 0.86 -0.94 -3.46
H 1.19 -3.26 -4.05
H -0.35 -3.19 -3.36
H 1.95 -4.29 -1.93
H 0.50 -5.01 -2.36
H 0.34 -4.42 0.12
H -0.87 -3.82 -0.70
H -0.51 -0.75 1.27
H -0.54 -2.53 1.66
H -1.52 -1.62 0.36
C -3.69 0.67 0.22
C -3.72 0.68 1.68
C -2.68 1.57 2.37
N -2.93 1.64 3.94
C -1.60 2.12 4.67
C -1.28 3.50 4.22
C -2.37 4.48 4.59
C -3.69 4.08 3.93
C -4.09 2.66 4.22
C -3.30 0.27 4.60
H -2.72 0.34 -0.13
H -3.75 1.66 -0.23
H -4.38 -0.10 -0.15
H -3.55 -0.34 2.00
H -4.76 0.89 1.94
H -2.79 2.58 2.00
H -1.67 1.17 2.22
H -0.82 1.41 4.38
H -1.81 2.07 5.74
H -1.08 3.51 3.15
H -0.31 3.78 4.63
H -2.26 5.50 4.23
H -2.43 4.52 5.68
H -3.77 4.40 2.89
H -4.48 4.68 4.37
H -4.84 2.47 3.45
H -4.36 2.46 5.26
H -2.50 -0.43 4.35
H -4.20 -0.10 4.12
H -3.43 0.40 5.68
### Back to the page
Property owner and developer Nick Pompeian summarized the group’s “sticky note” activity, highlighting the importance of understanding the existing plans of DMC, Mayo Clinic, and others, identifying the needs of both businesses and constituents, and communicating progress universally as the process moves forward. Pompeian reflected on the group’s forward-thinking mentality as they explored the potential process. “We need to think about the long-term future of this community,” he explains. “We need to think bigger than just the next 20 years.”
The information collected from the March 16 meeting will be synthesized and shared with DMC and the city council for consideration and will ultimately drive development in the St. Marys Place sub-district.